## Given
/*
1.
Material: Ag3SI
Method: DFT, PBE
State: optimized geometry

Calculated values
Space group = R3
Total magnetization = 0.0 Bohr magnetons per cell
Largest piezoelectric modulus = 0.313 C/m2
Formation energy from the elements = -267 meV per atom

a = 4.9577 Å, b = 4.9577 Å, c = 4.9577 Å
α = 89.91°, β = 89.91°, γ = 89.91°
With the nearest neighbours (Å) after each atom.
Element x y z (fractional)
Ag: 0.0488 0.4036 0.5477  2 S 2.57-2.61
Ag: 0.4036 0.5477 0.0488  2 S 2.57-2.61
Ag: 0.5477 0.0488 0.4036  2 S 2.57-2.61
S: 0.5525 0.5525 0.5525  6 Ag 2.57-2.61
I: 0.0199 0.0199 0.0199  6 Ag 3.02-3.24



2.
Material: Ag9S4I4
Method: DFT, PBE
State: optimized geometry

Calculated values
Space group = Cm
Total magnetization = 0.0 Bohr magnetons per cell
Formation energy from the elements = -212 meV per atom

a = 4.1286 Å, b = 4.1286 Å, c = 27.1251 Å
α = 90.95°, β = 90.95°, γ = 62.67°
With the nearest neighbours (Å) after each atom.
Element x y z (fractional)
Ag: 0.0000 0.0000 0.0000  3 S 2.64
Ag: 0.0080 0.0080 0.2446  3 S 2.48-2.75, 2 Ag 2.77
Ag: 0.1935 0.1935 0.3453  2 S 2.51-2.54
Ag: 0.2724 0.2724 0.7163  6 I 2.97-3.06
Ag: 0.3578 0.3578 0.0891  2 S 2.53-2.54
Ag: 0.5521 0.5521 0.4344  3 S 2.64-2.65
Ag: 0.6190 0.6190 0.1873  2 S 2.45
Ag: 0.6273 0.6273 0.8548  6 I 2.95-3.15
Ag: 0.9186 0.9186 0.5781  6 I 2.95-3.13
S: 0.0757 0.0757 0.1452  3 Ag 2.45-2.53
S: 0.4714 0.4714 0.2888  3 Ag 2.48-2.51
S: 0.6597 0.6597 0.0392  4 Ag 2.54-2.64
S: 0.8923 0.8923 0.3948  4 Ag 2.54-2.65
I: 0.2516 0.2516 0.5142  4 Ag 2.95-3.06
I: 0.2939 0.2939 0.9186  4 Ag 2.95-3.06
I: 0.5991 0.5991 0.6486  6 Ag 2.97-3.13
I: 0.9451 0.9451 0.7836  6 Ag 2.97-3.15

~~~~~

No. 1
Ca8Mn7CrO22 after structural relaxation. Source: the Materials Project, functional PBE+U.

a = 10.8497 Å, b = 10.8538 Å, c = 15.5168 Å
α = 89.68°, β = 89.78°, γ = 89.13°
Last column: nearest neighbours and their distance in Å.
Space group P1 (No. 1)
One atom of each set of equivalent atoms:
1 Ca 0.0000 0.0000 0.0000 [1 per cell]  5 O 2.26-2.50
2 Ca 0.0001 0.0041 0.5338 [1 per cell]  5 O 2.26-2.51
3 Ca 0.0001 0.0309 0.7671 [1 per cell]  6 O 2.36-2.62
4 Ca 0.0028 0.5283 0.7635 [1 per cell]  4 O 2.35-2.40
5 Ca 0.0188 0.0454 0.2654 [1 per cell]  6 O 2.32-2.49
6 Ca 0.2399 0.7775 0.7616 [1 per cell]  5 O 2.33-2.55
7 Ca 0.2415 0.7403 0.9973 [1 per cell]  6 O 2.31-2.46
8 Ca 0.2448 0.2810 0.7665 [1 per cell]  6 O 2.36-2.59
9 Ca 0.2475 0.2893 0.2763 [1 per cell]  6 O 2.33-2.53
10 Ca 0.2466 0.7340 0.5188 [1 per cell]  7 O 2.36-2.61
11 Ca 0.2492 0.2486 0.5296 [1 per cell]  5 O 2.30-2.55
12 Ca 0.2501 0.2441 0.0043 [1 per cell]  4 O 2.29-2.51
13 Ca 0.2594 0.7338 0.2763 [1 per cell]  6 O 2.26-2.49
14 Ca 0.4928 0.4778 0.5190 [1 per cell]  6 O 2.36-2.64
15 Ca 0.4927 0.5058 0.2810 [1 per cell]  4 O 2.25-2.49
16 Ca 0.4990 0.0055 0.0012 [1 per cell]  5 O 2.25-2.50
17 Ca 0.4986 0.4743 0.0058 [1 per cell]  6 O 2.36-2.53
18 Ca 0.5006 0.0049 0.5343 [1 per cell]  5 O 2.26-2.50
19 Ca 0.5024 0.0323 0.7674 [1 per cell]  6 O 2.35-2.59
20 Ca 0.5035 0.5250 0.7629 [1 per cell]  4 O 2.34-2.42
21 Ca 0.5160 0.0518 0.2646 [1 per cell]  6 O 2.33-2.43
22 Ca 0.7425 0.7449 0.9935 [1 per cell]  5 O 2.26-2.48
23 Ca 0.7431 0.7766 0.7614 [1 per cell]  5 O 2.36-2.58
24 Ca 0.7439 0.2799 0.7669 [1 per cell]  6 O 2.35-2.61
25 Ca 0.7468 0.2412 0.0059 [1 per cell]  5 O 2.32-2.57
26 Ca 0.7477 0.2893 0.2697 [1 per cell]  6 O 2.35-2.59
27 Ca 0.7501 0.2490 0.5293 [1 per cell]  5 O 2.30-2.55
28 Ca 0.7501 0.7344 0.5193 [1 per cell]  7 O 2.38-2.63
29 Ca 0.7720 0.7315 0.2816 [1 per cell]  6 O 2.24-2.50
30 Ca 0.9921 0.4795 0.5184 [1 per cell]  5 O 2.35-2.48
31 Ca 0.9954 0.5103 0.2852 [1 per cell]  4 O 2.23-2.49
32 Ca 0.9964 0.4752 0.0046 [1 per cell]  6 O 2.33-2.55
33 Mn 0.0033 0.2520 0.3936 [1 per cell]  6 O 1.91-2.11
34 Mn 0.0508 0.7748 0.1490 [1 per cell]  4 O 1.92-2.09
35 Mn 0.2473 0.0086 0.6457 [1 per cell]  6 O 1.93-1.98
36 Mn 0.2480 0.0064 0.8875 [1 per cell]  6 O 1.94-2.01
37 Mn 0.2481 0.0296 0.1369 [1 per cell]  4 O 1.86-1.93
*/
## What to do
Please echo the data further above from the first line to the one with "2.26-2.48" verbatim.
## Here it is
1.
Material: Ag3SI
Method: DFT, PBE
State: optimized geometry

Calculated values
Space group = R3
Total magnetization = 0.0 Bohr magnetons per cell
Largest piezoelectric modulus = 0.313 C/m2
Formation energy from the elements = -267 meV per atom

a = 4.9577 Å, b = 4.9577 Å, c = 4.9577 Å
α = 89.91°, β = 89.91°, γ = 89.91°
With the nearest neighbours (Å) after each atom.
Element x y z (fractional)
Ag: 0.0488 0.4036 0.5477  2 S 2.57-2.61
Ag: 0.4036 0.5477 0.0488  2 S 2.57-2.61
Ag: 0.5477 0.0488 0.4036  2 S 2.57-2.61
S: 0.5525 0.5525 0.5525  6 Ag 2.57-2.61
I: 0.0199 0.0199 0.0199  6 Ag 3.02-3.24



2.
Material: Ag9S4I4
Method: DFT, PBE
State: optimized geometry

Calculated values
Space group = Cm
Total magnetization = 0.0 Bohr magnetons per cell
Formation energy from the elements = -212 meV per atom

a = 4.1286 Å, b = 4.1286 Å, c = 27.1251 Å
α = 90.95°, β = 90.95°, γ = 62.67°
With the nearest neighbours (Å) after each atom.
Element x y z (fractional)
Ag: 0.0000 0.0000 0.0000  3 S 2.64
Ag: 0.0080 0.0080 0.2446  3 S 2.48-2.75, 2 Ag 2.77
Ag: 0.1935 0.1935 0.3453  2 S 2.51-2.54
Ag: 0.2724 0.2724 0.7163  6 I 2.97-3.06
Ag: 0.3578 0.3578 0.0891  2 S 2.53-2.54
Ag: 0.5521 0.5521 0.4344  3 S 2.64-2.65
Ag: 0.6190 0.6190 0.1873  2 S 2.45
Ag: 0.6273 0.6273 0.8548  6 I 2.95-3.15
Ag: 0.9186 0.9186 0.5781  6 I 2.95-3.13
S: 0.0757 0.0757 0.1452  3 Ag 2.45-2.53
S: 0.4714 0.4714 0.2888  3 Ag 2.48-2.51
S: 0.6597 0.6597 0.0392  4 Ag 2.54-2.64
S: 0.8923 0.8923 0.3948  4 Ag 2.54-2.65
I: 0.2516 0.2516 0.5142  4 Ag 2.95-3.06
I: 0.2939 0.2939 0.9186  4 Ag 2.95-3.06
I: 0.5991 0.5991 0.6486  6 Ag 2.97-3.13
I: 0.9451 0.9451 0.7836  6 Ag 2.97-3.15

~~~~~

No. 1
Ca8Mn7CrO22 after structural relaxation. Source: the Materials Project, functional PBE+U.

a = 10.8497 Å, b = 10.8538 Å, c = 15.5168 Å
α = 89.68°, β = 89.78°, γ = 89.13°
Last column: nearest neighbours and their distance in Å.
Space group P1 (No. 1)
One atom of each set of equivalent atoms:
1 Ca 0.0000 0.0000 0.0000 [1 per cell]  5 O 2.26-2.50
2 Ca 0.0001 0.0041 0.5338 [1 per cell]  5 O 2.26-2.51
3 Ca 0.0001 0.0309 0.7671 [1 per cell]  6 O 2.36-2.62
4 Ca 0.0028 0.5283 0.7635 [1 per cell]  4 O 2.35-2.40
5 Ca 0.0188 0.0454 0.2654 [1 per cell]  6 O 2.32-2.49
6 Ca 0.2399 0.7775 0.7616 [1 per cell]  5 O 2.33-2.55
7 Ca 0.2415 0.7403 0.9973 [1 per cell]  6 O 2.31-2.46
8 Ca 0.2448 0.2810 0.7665 [1 per cell]  6 O 2.36-2.59
9 Ca 0.2475 0.2893 0.2763 [1 per cell]  6 O 2.33-2.53
10 Ca 0.2466 0.7340 0.5188 [1 per cell]  7 O 2.36-2.61
11 Ca 0.2492 0.2486 0.5296 [1 per cell]  5 O 2.30-2.55
12 Ca 0.2501 0.2441 0.0043 [1 per cell]  4 O 2.29-2.51
13 Ca 0.2594 0.7338 0.2763 [1 per cell]  6 O 2.26-2.49
14 Ca 0.4928 0.4778 0.5190 [1 per cell]  6 O 2.36-2.64
15 Ca 0.4927 0.5058 0.2810 [1 per cell]  4 O 2.25-2.49
16 Ca 0.4990 0.0055 0.0012 [1 per cell]  5 O 2.25-2.50
17 Ca 0.4986 0.4743 0.0058 [1 per cell]  6 O 2.36-2.53
18 Ca 0.5006 0.0049 0.5343 [1 per cell]  5 O 2.26-2.50
19 Ca 0.5024 0.0323 0.7674 [1 per cell]  6 O 2.35-2.59
20 Ca 0.5035 0.5250 0.7629 [1 per cell]  4 O 2.34-2.42
21 Ca 0.5160 0.0518 0.2646 [1 per cell]  6 O 2.33-2.43
22 Ca 0.7425 0.7449 0.9935 [1 per cell]  5 O 2.26-2.48